**Given**
The following is a quantum chemistry calculation of C26H42O23PSTl as an isolated structure in a non-equilibrium geometry, from the OMol25 dataset.

Computed properties:
HOMO = -10.12 eV
charge = 0
maximum force = 9.45 eV/A
ΔE to the lowest compared entry with this formula, charge and spin = 360.2 kcal per mole
frontier orbital gap = 0.139 Eh
E_tot = -3657.85606 Ha

Geometry (Å):
Tl  0.972001  2.921873  -1.450067
P  0.448721  0.690033  -0.287567
O  0.355971  1.951603  0.601673
O  -0.530259  1.224523  -1.406587
O  0.175871  -0.686617  0.386643
O  1.781031  0.915113  -0.945947
C  -0.398909  1.625063  2.613983
C  0.298291  0.959723  3.680363
C  1.687921  0.372353  3.447683
O  2.555441  1.070493  4.215223
C  1.835681  1.855713  5.096843
O  2.460481  2.419203  5.979563
O  0.557521  1.795693  4.837573
H  0.188171  2.443503  2.197343
H  -1.443199  1.881943  2.791703
H  -0.523959  0.975483  1.747663
H  -0.250999  0.054533  3.939233
H  1.856101  0.289913  2.373893
H  1.714161  -0.580117  3.977033
C  -1.752469  -2.769137  0.965913
C  -0.285829  -2.650827  1.163853
C  0.020531  -1.943737  2.471683
O  1.049961  -2.809377  3.008133
C  0.895591  -4.056567  2.500553
O  1.326381  -5.128567  2.924433
O  0.148181  -3.929567  1.416993
H  -2.166179  -1.760787  0.952823
H  -2.254999  -3.352147  1.737693
H  -1.985459  -3.314347  0.051273
H  0.163981  -2.086807  0.346753
H  -0.757769  -1.803507  3.221803
H  0.427151  -0.990077  2.135083
C  -5.101919  0.451783  -3.005737
C  -3.835739  1.355143  -3.345307
C  -2.400599  0.684303  -3.004577
O  -1.860389  0.561663  -4.270837
C  -2.677169  1.100803  -5.222937
O  -2.345359  1.087763  -6.376987
O  -3.777489  1.585473  -4.693007
H  -5.986329  0.934513  -3.421547
H  -5.235029  0.237673  -1.945287
H  -4.970669  -0.515147  -3.491457
H  -3.955519  2.352343  -2.921837
H  -2.544839  -0.347037  -2.682657
H  -1.740309  1.286743  -2.380737
C  -1.171299  -2.455367  -3.619157
C  -0.272449  -1.490187  -2.886017
C  0.402251  -2.156087  -1.683557
O  1.625771  -2.645907  -2.192707
C  1.860341  -1.866847  -3.285327
O  2.961981  -1.957937  -3.921727
O  0.890911  -1.062487  -3.611827
H  -0.654759  -3.279847  -4.110607
H  -1.671159  -2.004297  -4.476347
H  -1.849559  -2.984727  -2.949947
H  -0.792739  -0.590317  -2.557957
H  -0.146629  -2.967607  -1.205777
H  0.735921  -1.342947  -1.038907
C  -2.654099  2.963283  0.398413
C  -2.730139  1.636033  -0.345147
C  -2.653219  0.470883  0.678703
O  -4.100149  0.149793  0.673493
C  -4.832409  0.795333  -0.209497
O  -5.956549  0.517793  -0.626917
O  -4.017429  1.646493  -0.918867
H  -2.902789  2.759473  1.439903
H  -3.244259  3.805593  0.037403
H  -1.622549  3.306613  0.476763
H  -2.010219  1.573753  -1.161187
H  -2.207679  0.742323  1.635743
H  -2.121009  -0.371957  0.237713
C  3.520261  -1.944687  -0.905277
C  3.181571  -0.870337  0.182993
C  2.352561  -1.249787  1.404053
O  3.382201  -1.155087  2.413663
C  4.453821  -0.475497  1.975283
O  5.400421  -0.292867  2.665053
O  4.473801  -0.421817  0.654383
H  4.249821  -2.722697  -0.680457
H  3.992981  -1.306017  -1.651417
H  2.608651  -2.417387  -1.270807
H  2.661011  -0.058327  -0.324707
H  1.909821  -2.236197  1.265963
H  1.537511  -0.571527  1.656603
C  4.452411  2.499743  0.054553
S  3.394861  3.758723  0.778723
O  2.298111  4.052323  -0.300607
C  2.536011  2.409403  1.732723
H  4.907611  2.019333  0.920643
H  4.996851  3.062773  -0.703527
H  3.784931  1.815363  -0.469067
H  3.089421  1.759503  2.410563
H  1.907151  1.831263  1.055693
H  1.904401  2.962323  2.428033

Force components x, y, z for each atom (eV/Å):
-0.4 -1.3 1.0
-2.5 -0.6 1.8
-0.1 0.9 -3.8
3.1 -0.2 -1.2
-0.7 9.0 -2.8
2.0 1.0 -3.0
-1.1 1.0 0.2
0.4 -1.8 1.9
-2.0 -1.2 0.7
1.1 2.5 0.9
3.8 0.2 1.7
-2.2 -0.5 -1.5
-1.4 0.3 0.1
-1.2 0.1 1.5
0.2 0.5 1.0
0.2 -0.4 1.7
-0.6 0.6 0.9
0.7 1.5 1.9
-0.3 -0.7 -1.1
-1.1 0.2 -0.5
-2.1 -0.8 1.9
0.7 -0.4 0.1
-0.3 -0.1 1.8
0.8 -2.3 1.1
-0.8 3.3 -0.9
0.8 -3.1 -1.1
-0.3 -0.8 0.0
0.2 0.2 0.3
-0.1 0.3 -0.3
0.0 -2.9 1.0
-0.3 -0.4 -0.2

**Assignment**
Could you say how many lines of the contents further above hold the word "force", as a bare number?

**Worked solution**
1